This Repository contains the source code of the Multipurpose Enhanced Cognitive Architecture (MECA).
MECA is a Java library to build cognitive architectures / artificial minds for robots and software agents. MECA provides a framework with different capabilities out of the box for artificial minds to be built upon.
MECA has been built on top of the Cognitive Systems Toolkit (CST). It is therefore important to know CST's concepts and how to implement cognitive architectures using CST in order to make a better use of MECA.
Note: This library is still under development, and some concepts or features might not be available yet. Feedback/bug report and Pull Requests are most welcome!
- Step 1. Add the JitPack repository to your build file. Add it in your root build.gradle at the end of repositories:
repositories {
Data records, as found in the file >
____________
Y6CoSe5: simulated X-ray powder pattern (λ = 1.5418 Å (Cu Kα)), based on a structure optimized by DFT (PBE).
Neutral-atom scattering factors, no anomalous dispersion.

Peak list (10 most intense, 15 to 90 degrees two-theta, sorted by position)
(2 0 -2), 2.899 Å, 30.84 deg, I 100.0
(3 3 -1), 2.053 Å, 44.11 deg, I 34.1
(1 3 -3), 2.046 Å, 44.26 deg, I 34.7
(2 6 -2), 1.676 Å, 54.79 deg, I 16.8
(0 0 4), 1.668 Å, 55.05 deg, I 5.8
(2 6 2), 1.448 Å, 64.33 deg, I 6.5
(3 3 -5), 1.297 Å, 72.94 deg, I 12.7
(0 6 4), 1.294 Å, 73.14 deg, I 8.6
(4 6 -4), 1.185 Å, 81.16 deg, I 5.9
(1 9 -3), 1.184 Å, 81.29 deg, I 5.8

Atomic structure:
```
data_Y6CoSe5
_cell_length_a 7.1191
_cell_length_b 12.3085
_cell_length_c 7.0878
_cell_angle_alpha 90.00
_cell_angle_beta 109.71
_cell_angle_gamma 90.00
_symmetry_space_group_name_H-M 'C 1 2/m 1'
_symmetry_Int_Tables_number 12
loop_
_symmetry_equiv_pos_as_xyz
'x,y,z'
'-x,-y,-z'
'-x,y,-z'
'x,-y,z'
'x+1/2,y+1/2,z'
'-x+1/2,-y+1/2,-z'
'-x+1/2,y+1/2,-z'
'x+1/2,-y+1/2,z'
loop_
_atom_site_label
_atom_site_type_symbol
_atom_site_fract_x
_atom_site_fract_y
_atom_site_fract_z
_atom_site_occupancy
Y1 Y 0.2271 0.0000 0.2647 1
Y2 Y 0.2282 0.1529 0.7300 1
Co1 Co 0.0000 0.0000 0.5000 1
Se1 Se 0.0000 0.1772 0.0000 1
Se2 Se 0.0000 0.3348 0.5000 1
Se3 Se 0.0000 0.5000 0.0000 1
```


Calculated XRD peak list of SmB2Ir3 for Cu Kα, 1.54184 Å, from a cell relaxed with GGA-PBE.

Largest 10 diffraction maxima, in order of falling intensity, 10° ≤ 2θ ≤ 90°:
index  Position (°2θ)  d [Å]  I (rel.)
2 0 0  37.66  2.389  100
1 0 1  34.06  2.632  57
2 0 1  47.77  1.904  37
1 1 1  43.59  2.076  33
2 0 2  71.72  1.316  31
2 1 1  58.94  1.567  24
0 0 1  28.30  3.154  22
2 2 0  67.98  1.379  19
4 0 0  80.41  1.194  11
3 1 1  78.27  1.222  11

a b c (Å): 5.5161 5.5161 3.1537
angles (deg): 90.00 90.00 120.00
Space group P6/mmm (No. 191)
Asymmetric unit:
Sm (0.0000, 0.0000, 0.0000) [1 per cell]
B (0.3333, 0.6667, 0.0000) [2 per cell]
Ir (0.0000, 0.5000, 0.5000) [3 per cell]

***

Calculated XRD peak list of Sn4B3Ir7 for Cu Kα, 1.54184 Å, from a cell relaxed with GGA-PBE.

Largest 10 diffraction maxima, in order of falling intensity, 10° ≤ 2θ ≤ 90°:
index  Position (°2θ)  d [Å]  I (rel.)
1 2 2  43.34  2.088  100
1 3 0  40.00  2.254  63
2 2 0  38.37  2.346  49
1 2 0  29.07  3.072  49
5 1 2  72.82  1.299  39
1 2 1  33.14  2.704  35
1 3 2  51.73  1.767  32
1 0 2  33.35  2.686  31
2 2 2  50.41  1.810  23
0 0 2  31.43  2.846  20

a b c (Å): 9.3844 9.3844 5.6929
angles (deg): 90.00 90.00 120.00
Space group P6_3/m (No. 176)
Asymmetric unit:
Sn (0.0917, 0.5895, 0.2500) [6 per cell]
Sn (0.3333, 0.6667, 0.7500) [2 per cell]
B (0.0372, 0.8277, 0.7500) [6 per cell]
Ir (0.0000, 0.0000, 0.0000) [2 per cell]
Ir (0.1236, 0.3541, 0.5010) [12 per cell]

***

Calculated XRD peak list of Sn5B2Ir6 for Cu Kα, 1.54184 Å, from a cell relaxed with GGA-PBE.

Largest 10 diffraction maxima, in order of falling intensity, 10° ≤ 2θ ≤ 90°:
index  Position (°2θ)  d [Å]  I (rel.)
____________
maven { url '' }
- Step 2. Add the dependency
Inserted here: calculated crystals:
=====
This entry pairs a crystal structure of ScFeMo4 with its calculated powder diffractogram. Radiation: a wavelength of 1.5418 Å. Structure: the PBE geometry in Alexandria.

Lattice parameters (Å, degrees): 7.448 7.448 7.448 90.00 90.00 90.00
Space group F-43m (No. 216)
Asymmetric unit:
Sc 0.000 0.000 0.000 (multiplicity 4)
Fe 0.250 0.250 0.750 (multiplicity 4)
Mo 0.125 0.125 0.375 (multiplicity 16)

Main lines, in order of rising 2θ (2θ = 15–90°):
- 2θ = 20.66°, I = 39
- 2θ = 40.16°, I = 100
- 2θ = 42.02°, I = 62
- 2θ = 65.07°, I = 30
- 2θ = 71.68°, I = 29
- 2θ = 86.72°, I = 23

----------

Record 1
The following is a computed powder diffractogram of GaBi2Au7. It was derived from the PBE geometry in Alexandria, using Cu Kα.
Lines closer than 0.1° are merged.

Atomic structure:
a b c (Å): 3.902 3.902 14.118
angles (deg): 90.00 90.00 90.00
Fractional positions:
Ga 0.000 0.000 0.000
Bi 0.000 0.500 0.750
Bi 0.500 0.000 0.250
Au 0.000 0.000 0.500
Au 0.000 0.500 0.146
Au 0.000 0.500 0.349
Au 0.500 0.000 0.651
Au 0.500 0.000 0.854
Au 0.500 0.500 0.000
Au 0.500 0.500 0.500

Top 8 peaks for 2θ from 10° to 90°, sorted by position:
3.004 Å, I 41
2.570 Å, I 100
2.288 Å, I 61
2.174 Å, I 30
1.951 Å, I 46
1.484 Å, I 32
1.257 Å, I 22
1.216 Å, I 20



Record 2
The following is a computed powder diffractogram of NiBC3. It was derived from the PBE geometry in Alexandria, using Cu Kα.
Lines closer than 0.1° are merged.

Atomic structure:
a b c (Å): 2.610 3.812 4.545
angles (deg): 103.38 90.52 98.94
Fractional positions:
Ni 0.000 0.000 0.000
B 0.360 0.473 0.683
C 0.354 0.476 0.340
C 0.861 0.465 0.854
C 0.863 0.505 0.188

Top 8 peaks for 2θ from 10° to 90°, sorted by position:
4.416 Å, I 100
3.215 Å, I 38
2.576 Å, I 25
2.539 Å, I 23
2.272 Å, I 23
2.181 Å, I 20
2.125 Å, I 29
1.830 Å, I 18



Record 3
The following is a computed powder diffractogram of Fe14TcGe. It was derived from the PBE geometry in Alexandria, using Cu Kα.
Lines closer than 0.1° are merged.

Atomic structure:
a b c (Å): 4.970 4.970 8.087
angles (deg): 90.00 90.00 108.84
Fractional positions:
Fe 0.000 0.000 0.000
Fe 0.000 0.500 0.000
Fe 0.000 0.500 0.500
Fe 0.249 0.751 0.249
Fe 0.249 0.751 0.751
Fe 0.250 0.250 0.244
Fe 0.250 0.250 0.756
Fe 0.500 0.000 0.000
Fe 0.500 0.000 0.500
Fe 0.500 0.500 0.000
Fe 0.750 0.750 0.244
Fe 0.750 0.750 0.756
Fe 0.751 0.249 0.249
Fe 0.751 0.249 0.751
Tc 0.500 0.500 0.500
Ge 0.000 0.000 0.500

Top 8 peaks for 2θ from 10° to 90°, sorted by position:
8.087 Å, I 2
4.043 Å, I 1
2.033 Å, I 100
2.021 Å, I 49
1.446 Å, I 8
1.429 Å, I 15
1.176 Å, I 15
1.169 Å, I 29



Record 4
The following is a computed powder diffractogram of Cs2GaGeSb. It was derived from the PBE geometry in Alexandria, using Cu Kα.
Lines closer than 0.1° are merged.

Atomic structure:
a b c (Å): 7.350 7.350 4.500
angles (deg): 90.00 90.00 90.00
Fractional positions:
Cs 0.000 0.500 0.000
Cs 0.500 0.000 0.000
Ga 0.000 0.000 0.000
Ge 0.000 0.000 0.500
Sb 0.500 0.500 0.500
=====
The text goes on:
dependencies {
implementation 'com.github.CST-Group:meca:0.6.0'
Sometimes, the version number (tag) in this README gets out of date, as maintainers might forget to change it when releasing. Always check the release badge to see the actual current version number that should be provided in the dependencies in Step 2 above.
- Step 1. Add the JitPack repository to your build file.
- Step 2. Add the dependency
Sometimes, the version number (tag) in this README gets out of date, as maintainers might forget to change it when releasing. Always check the release badge to see the actual current version number that should be provided in the dependencies in Step 2 above.
Download the latest release and set it as a dependency in your project.
This release uses gradle to download the dependencies from MavenCentral. It does not require you to have gradle installed in your system because it uses the Gradle Wrapper. Depending on your operational system, you might execute the gradlew script or the gradlew.bat script in order to compile the code. You might need the JDK to be properly installed in order to build the code. You should call "gradlew " in order to build the code. Available tasks can be discovered using "gradlew tasks". After calling "gradlew build", the MECA library will be available at build/libs directory.
Follow the release page to better understand the breaking changes of new versions.
MECA requires at minimum Java 8.
To get started, you can take a look at our hands on codelab which teaches you how to use MECA's version 0.0.1. (soon we will provide more examples in the library repository).
Refer to MECA's publications to better understand the concepts behind the implemented code structures:
- An Overview of the Multipurpose Enhanced Cognitive Architecture (MECA);
_Data records, kept here for reference_
No. 1
The following is a computed X-ray powder pattern of Li10SiP2S12. It was derived from a structure optimized by DFT (GGA-PBE), using copper Kα.
Kinematic intensities with the Lorentz-polarization factor, no thermal factor.

Cell: 8.6486 8.8296 12.9954 Å, 88.35 89.41 89.94°
Space group P1 (No. 1)
Inequivalent atoms, fractional coordinates:
Li 0.0000 0.0000 0.0000 (multiplicity 1)
Li 0.0011 0.4436 0.6675 (multiplicity 1)
Li 0.0025 0.4605 0.9102 (multiplicity 1)
Li 0.0079 0.9335 0.4983 (multiplicity 1)
Li 0.0138 0.4752 0.1539 (multiplicity 1)
Li 0.0184 0.9447 0.7916 (multiplicity 1)
Li 0.0367 0.5420 0.4052 (multiplicity 1)
Li 0.0495 0.9724 0.2382 (multiplicity 1)
Li 0.2745 0.2329 0.2007 (multiplicity 1)
Li 0.2833 0.2323 0.7297 (multiplicity 1)
Li 0.4655 0.9366 0.5249 (multiplicity 1)
Li 0.4845 0.4564 0.4552 (multiplicity 1)
Li 0.4869 0.4720 0.8694 (multiplicity 1)
Li 0.4950 0.9354 0.8062 (multiplicity 1)
Li 0.5119 0.4776 0.1427 (multiplicity 1)
Li 0.5126 0.9896 0.0182 (multiplicity 1)
Li 0.5298 0.9703 0.2963 (multiplicity 1)
Li 0.7359 0.6861 0.6062 (multiplicity 1)
Li 0.7630 0.7188 0.1094 (multiplicity 1)
Li 0.7871 0.2433 0.4014 (multiplicity 1)
Si 0.2569 0.2038 0.9716 (multiplicity 1)
Si 0.7474 0.7077 0.3419 (multiplicity 1)
P 0.2408 0.2050 0.4667 (multiplicity 1)
P 0.2551 0.6865 0.6539 (multiplicity 1)
P 0.7595 0.7234 0.8467 (multiplicity 1)
P 0.7650 0.2284 0.1605 (multiplicity 1)
S 0.0361 0.2064 0.5503 (multiplicity 1)
S 0.0551 0.6744 0.5679 (multiplicity 1)
S 0.0620 0.1927 0.8710 (multiplicity 1)
S 0.2367 0.5127 0.7631 (multiplicity 1)
S 0.2493 0.0177 0.0837 (multiplicity 1)
S 0.2520 0.0012 0.3907 (multiplicity 1)
S 0.2554 0.3848 0.3628 (multiplicity 1)
S 0.2560 0.4170 0.0486 (multiplicity 1)
S 0.2625 0.8965 0.7159 (multiplicity 1)
S 0.4308 0.2157 0.5603 (multiplicity 1)
S 0.4481 0.6673 0.5647 (multiplicity 1)
S 0.4643 0.1869 0.8821 (multiplicity 1)
S 0.5526 0.7071 0.2436 (multiplicity 1)
S 0.5620 0.7328 0.9377 (multiplicity 1)
S 0.5723 0.2458 0.2546 (multiplicity 1)
S 0.7353 0.9111 0.4312 (multiplicity 1)
S 0.7548 0.8958 0.7367 (multiplicity 1)
S 0.7593 0.5149 0.7799 (multiplicity 1)
S 0.7586 0.5177 0.4493 (multiplicity 1)
S 0.7636 0.0260 0.0889 (multiplicity 1)
S 0.7685 0.4119 0.0596 (multiplicity 1)
S 0.9541 0.7427 0.9359 (multiplicity 1)
S 0.9579 0.2386 0.2522 (multiplicity 1)
S 0.9624 0.7076 0.2546 (multiplicity 1)

Principal peaks in the range 2θ from 10° to 90°, low angle first:
2θ (°), Rel. int.
12.3, 35
14.3, 35
19.6, 18
20.1, 26
28.5, 34
28.9, 26
29.0, 50
29.3, 100
40.9, 18
41.8, 30

No. 2
The following is a computed X-ray powder pattern of LiTl2PS4. It was derived from a structure optimized by DFT (GGA-PBE), using copper Kα.
Kinematic intensities with the Lorentz-polarization factor, no thermal factor.

Cell: 5.9086 12.3731 24.1448 Å, 90.00 90.00 90.00°
Space group Fddd (No. 70, origin choice 2)
Inequivalent atoms, fractional coordinates:
Li 0.1250 0.1250 0.1250 (multiplicity 8)
Tl 0.1250 0.1250 0.3159 (multiplicity 16)
_Here the article continues_
- The Multipurpose Enhanced Cognitive Architecture (MECA).
This Software was developed in a partnership with Ericsson Research.